Starling murmurations

This video says about itself:

Dance with me….60.000 starlings in flight with two falcons hunting them.

Filmed by Tuur Hofman in March 2011 near Utrecht, the Netherlands.

He left just the RAW data on YouTube. A pity to leave it like that.

I resampled this file, did some colour and contrast correction, adding music to this marvelous example of behaviour in nature.

By Peter Frost in Britain:

Monty Starling‘s flying circus

Friday 14th April 2017

Red Arrows, eat your hearts out and vacate the skies for the starling marvel of murmurations is about and has wholly bewitched thousands – including PETER FROST

ISN’T it nice that the evenings are at last starting to get lighter? Since the clocks sprang forward an hour a week or two ago, I’ve been out in the evenings enjoying the blossom, the spring flowers and that wonderful, low-sinking sun that shows the countryside in the best light.

Recently those slightly brighter twilights have brought me some delightful and, indeed, spectacular nature sightings.

The low evening sun had thrown the old medieval ridge and furrow field patterns into bold relief. But it was what was happening in the sky above that took my breath away. What I saw was one of the most remarkable phenomena in the entire animal kingdom. It is called a murmuration.

A murmuration is the delightful term used to describe a huge flock of starlings (Sturnus vulgaris) all swooping, looping and diving in unison. The birds made incredible patterns in the sky as they performed their tightly packed aerial ballet. It’s completely breathtaking to witness.

Murmurations can involve many hundreds of birds or even many thousands. Some of the biggest of these flight displays have been known to include over a million birds.

The starlings perform these amazing airborne spectaculars for many reasons. Grouping together offers safety in numbers — predator birds of prey such as kestrels, sparrowhawks, peregrine falcons, buzzards and other raptors find it hard to target one bird in the middle of a hypnotising flock of thousands.

Starlings form the murmurations as they gather over their roosting site — and perform their wheeling stunts before they roost for the night. They like to gather in large roosts to keep warm and to exchange information, such as good feeding areas.

Smaller than blackbirds, with a short tail, pointed head and triangular wings, starlings appear black at a distance but when seen closer they are glossy with a sheen of purples and greens.

Their flight is fast and direct and they walk and run confidently on the ground. It is one of our commonest garden birds having a love-hate relationship with gardeners.

It consumes many garden insect pests but can also ruin fruit harvests picking at buds and stealing ripe soft fruit. Most starlings are residents, and most never leave us.

However, this number almost doubles every winter with the arrival of thousands more birds from Europe. Nigel Farage must be doing his nut as the birds wheel and turn triumphantly over Kent after crossing the channel to complete their journey.

Surely, Ukip should be up on Beachy Head with a flight of trained hawks to see the immigrants off. Have they learnt nothing from Donald Trump?

These migrations account for the huge increase in the starling population which occurs when birds from northern Europe arrive to spend the winter in Britain because the weather is relatively mild here and food and shelter are easier to find.

They begin to arrive during September but the majority of starlings will arrive in October, before our winter weather really sets in. Most of the birds coming to Britain are from Scandinavia but one individual, caught in Bedfordshire, had been ringed the previous spring in Lithuania, over a thousand miles away.

Despite the incredible size of today’s flocks, starling numbers are just a fraction of what they used to be. Huge starling flocks used to gather over industrial cities like Manchester, Leeds, Newcastle, Liverpool, Edinburgh, Glasgow and Belfast.

Today, you have a much better chance of seeing the birds and their spectacular mumurations over rural areas.

For the last few years huge flocks have attracted a great deal of attention at Gretna Green. The police had to control the traffic as people flock to see the amazing spectacle.

Likewise tens of thousands of starlings can be seen swirling above Brighton’s beaches and piers each late autumn.

Despite the evidence of these huge flocks, the starling population has fallen by over 80 per cent in recent years, meaning its decline has put it on the critical Red List of British birds most at risk.

As with so many other species, the decline is believed to be due to the loss of permanent pasture, modern farming practices and increased use of farm chemicals. A shortage of food and nesting sites in many parts of Britain also play their part in the decline.

Starlings have an amazing ability to change their internal organs throughout the year as food supplies alter. During the breeding season, starlings rely on invertebrates, especially the larvae of crane flies, a real garden pest known as leatherjackets.

They harvest them from short grassland and meadow. Gardeners love the bird when it clears garden lawns of leatherjackets. In the summer and autumn, they take more seeds and berries including soft fruit from suburban gardens and that isn’t so popular with those same gardeners.

This seasonal shift in diet is matched by a lengthening of their intestine to cope with the increased plant material, which is harder to digest.

_Molecular data from another source follow_
/*
A cluster of 2 separate species, C5H12NS in total in a non-equilibrium geometry. Source: OMol25; level of theory: wB97M-V/def2-TZVPD.

Its net charge is -1. The total energy is -650.6334 Ha. The largest force on an atom comes out at 2.10 eV Å⁻¹. As for the frontier orbital gap: 5.10 eV. The calculation puts the energy relative to the best compared isomer or geometry (same formula, charge and spin) at 111.4 kJ/mol.

XYZ file:
```
19
Properties=species:S:1:pos:R:3:nbo_charge:R:1
C -2.05973 -0.03759 0.07978 -0.63
C -1.08715 -1.13098 -0.20005 -0.28
C -1.28859 -2.17364 -1.04772 -0.02
N -0.36163 -3.20330 -1.28762 -0.84
H -3.07035 -0.28198 -0.30220 0.20
H -2.09027 0.20731 1.14375 0.22
H -1.74024 0.88524 -0.44203 0.22
H -0.14179 -1.14133 0.35416 0.20
H -2.14903 -2.13399 -1.73004 0.18
H -0.68523 -4.01191 -1.79504 0.38
H 0.41939 -3.32229 -0.66016 0.39
C 1.73555 1.25052 0.81399 -0.63
C 1.71541 2.78571 0.63572 -0.53
S 3.15358 3.47794 1.42302 -0.70
H 1.64333 0.97679 1.88429 0.19
H 2.69672 1.02553 0.35796 0.21
H 0.92022 0.73892 0.29927 0.16
H 0.68635 3.13234 0.96435 0.15
H 1.70347 2.95669 -0.49145 0.15
```

=====

The molecule C5H8O in a non-equilibrium geometry. Source: OMol25; level of theory: wB97M-V/def2-TZVPD.

The total energy is -270.3565 Ha. The largest force on an atom comes out at 1.66 eV Å⁻¹. As for the frontier orbital gap: 9.49 eV. The calculation puts the energy relative to the best compared isomer or geometry (same formula, charge and spin) at 528.8 kJ/mol.

XYZ file:
```
14
Properties=species:S:1:pos:R:3:nbo_charge:R:1
C 1.95538 0.46080 -0.50931 -0.62
C 0.85880 -0.55809 -0.42262 -0.25
C 0.38651 -1.21002 0.66348 -0.21
C -0.81188 -0.90474 -0.08473 -0.07
C -1.74023 0.17477 0.40261 -0.12
O -1.12534 0.96697 1.37502 -0.71
H 1.52827 1.45776 -0.36120 0.23
H 2.72834 0.28951 0.24757 0.24
H 2.40330 0.42948 -1.50443 0.21
H 0.09126 -0.40908 -1.36381 0.21
H -1.16392 -1.50913 -0.92287 0.22
H -2.08044 0.84919 -0.40044 0.20
H -2.61533 -0.38729 0.75980 0.19
H -0.57664 0.35678 1.89608 0.49
```
*/
_So much for the molecular data_

Starlings will readily use bird tables and feeders throughout the year. In fact, quite a few garden birdwatchers complain about starlings because they seem to clean out a feeding station in minutes.

Very occasionally you may spot a white, or albino, starling. Beautiful birds, but sadly they don’t usually last too long as their colour makes them easy targets for birds of prey.

This albino starling can often be confused with a very rare visitor to Britain, the rosy starling (Pastor roseus). Sometimes known as the pink starling, one has been causing much excitement among birdwatchers and photographers in the last week or so by taking up residence in Crawley.

London twitchers have been out in force to see the pink and black bird that has made the 5,500 mile journey from its winter home in India and Sri Lanka.